(To do)
Please echo all of the calculation results underneath exactly.

(Excerpt)
____________
Here is Cs6Dy21S34Cl after structural relaxation from the Materials Project. Energies are from PBE.

The value obtained for the electronic total energy is -5.97 eV/atom. For the magnetization, the calculation gives 0.001 μB per formula unit.

Cell: 17.330 19.687 13.121 Å, 90.00 128.75 90.00°
Space group C2/m (No. 12)
Inequivalent atoms, fractional coordinates:
Cs  0.072  0.123  0.230 (multiplicity 8)
Cs  0.232  0.000  0.084 (multiplicity 4)
Dy  0.000  0.100  0.500 (multiplicity 4)
Dy  0.000  0.302  0.500 (multiplicity 4)
Dy  0.000  0.400  0.000 (multiplicity 4)
Dy  0.000  0.500  0.500 (multiplicity 2)
Dy  0.128  0.300  0.877 (multiplicity 8)
Dy  0.137  0.398  0.393 (multiplicity 8)
Dy  0.244  0.000  0.757 (multiplicity 4)
Dy  0.246  0.291  0.251 (multiplicity 8)
S  0.050  0.399  0.681 (multiplicity 8)
S  0.059  0.000  0.679 (multiplicity 4)
S  0.061  0.307  0.189 (multiplicity 8)
S  0.070  0.203  0.686 (multiplicity 8)
S  0.074  0.500  0.192 (multiplicity 4)
S  0.182  0.395  0.063 (multiplicity 8)
S  0.182  0.500  0.558 (multiplicity 4)
S  0.184  0.302  0.564 (multiplicity 8)
S  0.190  0.100  0.577 (multiplicity 8)
S  0.190  0.203  0.058 (multiplicity 8)
Cl  0.000  0.000  0.000 (multiplicity 2)



Here is CsEr2Cl7 after structural relaxation from the Materials Project. Energies are from PBE.

The value obtained for the electronic total energy is -4.56 eV/atom.

Cell: 14.354 7.027 12.608 Å, 90.00 90.00 90.00°
Space group Pnma (No. 62)
Inequivalent atoms, fractional coordinates:
Cs  0.041  0.250  0.196 (multiplicity 4)
Er  0.239  0.250  0.540 (multiplicity 4)
Er  0.249  0.750  0.344 (multiplicity 4)
Cl  0.118  0.750  0.189 (multiplicity 4)
Cl  0.131  0.009  0.425 (multiplicity 8)
Cl  0.142  0.010  0.960 (multiplicity 8)
Cl  0.180  0.015  0.694 (multiplicity 8)



Here is Cs2RbErCl6 after structural relaxation from the Materials Project. Energies are from PBE.

The value obtained for the electronic total energy is -3.98 eV/atom. For the magnetization, the calculation gives 0.000 μB per formula unit.

Cell: 11.528 11.528 11.528 Å, 90.00 90.00 90.00°
Space group Fm-3m (No. 225)
Inequivalent atoms, fractional coordinates:
Cs  0.250  0.250  0.250 (multiplicity 8)
Rb  0.000  0.000  0.000 (multiplicity 4)
Er  0.000  0.000  0.500 (multiplicity 4)
Cl  0.000  0.000  0.273 (multiplicity 24)



Here is Cs2EuCl5 after structural relaxation from the Materials Project. Energies are from PBE.

The value obtained for the electronic total energy is -4.63 eV/atom.

Cell: 9.985 7.665 15.665 Å, 90.00 90.00 90.00°
Space group Pnma (No. 62)
Inequivalent atoms, fractional coordinates:
Cs  0.024  0.250  0.213 (multiplicity 4)
Cs  0.158  0.750  0.419 (multiplicity 4)
Eu  0.175  0.750  0.064 (multiplicity 4)
Cl  0.000  0.000  0.000 (multiplicity 4)
Cl  0.023  0.750  0.206 (multiplicity 4)
Cl  0.165  0.508  0.619 (multiplicity 8)
Cl  0.212  0.250  0.407 (multiplicity 4)



Here is Cs2KEuCl6 after structural relaxation from the Materials Project. Energies are from PBE.

The value obtained for the electronic total energy is -4.38 eV/atom. For the magnetization, the calculation gives 6.011 μB per formula unit.

Cell: 11.474 11.474 11.474 Å, 90.00 90.00 90.00°
Space group Fm-3m (No. 225)
Inequivalent atoms, fractional coordinates:
Cs  0.250  0.250  0.250 (multiplicity 8)
K  0.000  0.000  0.000 (multiplicity 4)
Eu  0.000  0.000  0.500 (multiplicity 4)
Cl  0.000  0.000  0.263 (multiplicity 24)



Here is CsEuTa6Cl18 after structural relaxation from the Materials Project. Energies are from PBE.

The value obtained for the electronic total energy is -5.93 eV/atom. For the magnetization, the calculation gives 6.994 μB per formula unit.

Cell: 9.4652 9.4652 17.6216 Å, 90.00 90.00 120.00°
Space group P-31c (No. 163)
Inequivalent atoms, fractional coordinates:
Cs  0.3333  0.6667  0.2500 (multiplicity 2)
Eu  0.3333  0.6667  0.7500 (multiplicity 2)
Ta  0.0374  0.1941  0.9325 (multiplicity 12)
Cl  0.0434  0.2285  0.1586 (multiplicity 12)
____________

(Response)
Here is Cs6Dy21S34Cl after structural relaxation from the Materials Project. Energies are from PBE.

The value obtained for the electronic total energy is -5.97 eV/atom. For the magnetization, the calculation gives 0.001 μB per formula unit.

Cell: 17.330 19.687 13.121 Å, 90.00 128.75 90.00°
Space group C2/m (No. 12)
Inequivalent atoms, fractional coordinates:
Cs  0.072  0.123  0.230 (multiplicity 8)
Cs  0.232  0.000  0.084 (multiplicity 4)
Dy  0.000  0.100  0.500 (multiplicity 4)
Dy  0.000  0.302  0.500 (multiplicity 4)
Dy  0.000  0.400  0.000 (multiplicity 4)
Dy  0.000  0.500  0.500 (multiplicity 2)
Dy  0.128  0.300  0.877 (multiplicity 8)
Dy  0.137  0.398  0.393 (multiplicity 8)
Dy  0.244  0.000  0.757 (multiplicity 4)
Dy  0.246  0.291  0.251 (multiplicity 8)
S  0.050  0.399  0.681 (multiplicity 8)
S  0.059  0.000  0.679 (multiplicity 4)
S  0.061  0.307  0.189 (multiplicity 8)
S  0.070  0.203  0.686 (multiplicity 8)
S  0.074  0.500  0.192 (multiplicity 4)
S  0.182  0.395  0.063 (multiplicity 8)
S  0.182  0.500  0.558 (multiplicity 4)
S  0.184  0.302  0.564 (multiplicity 8)
S  0.190  0.100  0.577 (multiplicity 8)
S  0.190  0.203  0.058 (multiplicity 8)
Cl  0.000  0.000  0.000 (multiplicity 2)



Here is CsEr2Cl7 after structural relaxation from the Materials Project. Energies are from PBE.

The value obtained for the electronic total energy is -4.56 eV/atom.

Cell: 14.354 7.027 12.608 Å, 90.00 90.00 90.00°
Space group Pnma (No. 62)
Inequivalent atoms, fractional coordinates:
Cs  0.041  0.250  0.196 (multiplicity 4)
Er  0.239  0.250  0.540 (multiplicity 4)
Er  0.249  0.750  0.344 (multiplicity 4)
Cl  0.118  0.750  0.189 (multiplicity 4)
Cl  0.131  0.009  0.425 (multiplicity 8)
Cl  0.142  0.010  0.960 (multiplicity 8)
Cl  0.180  0.015  0.694 (multiplicity 8)



Here is Cs2RbErCl6 after structural relaxation from the Materials Project. Energies are from PBE.

The value obtained for the electronic total energy is -3.98 eV/atom. For the magnetization, the calculation gives 0.000 μB per formula unit.

Cell: 11.528 11.528 11.528 Å, 90.00 90.00 90.00°
Space group Fm-3m (No. 225)
Inequivalent atoms, fractional coordinates:
Cs  0.250  0.250  0.250 (multiplicity 8)
Rb  0.000  0.000  0.000 (multiplicity 4)
Er  0.000  0.000  0.500 (multiplicity 4)
Cl  0.000  0.000  0.273 (multiplicity 24)



Here is Cs2EuCl5 after structural relaxation from the Materials Project. Energies are from PBE.

The value obtained for the electronic total energy is -4.63 eV/atom.

Cell: 9.985 7.665 15.665 Å, 90.00 90.00 90.00°
Space group Pnma (No. 62)
Inequivalent atoms, fractional coordinates:
Cs  0.024  0.250  0.213 (multiplicity 4)
Cs  0.158  0.750  0.419 (multiplicity 4)
Eu  0.175  0.750  0.064 (multiplicity 4)
Cl  0.000  0.000  0.000 (multiplicity 4)
Cl  0.023  0.750  0.206 (multiplicity 4)
Cl  0.165  0.508  0.619 (multiplicity 8)
Cl  0.212  0.250  0.407 (multiplicity 4)



Here is Cs2KEuCl6 after structural relaxation from the Materials Project. Energies are from PBE.

The value obtained for the electronic total energy is -4.38 eV/atom. For the magnetization, the calculation gives 6.011 μB per formula unit.

Cell: 11.474 11.474 11.474 Å, 90.00 90.00 90.00°
Space group Fm-3m (No. 225)
Inequivalent atoms, fractional coordinates:
Cs  0.250  0.250  0.250 (multiplicity 8)
K  0.000  0.000  0.000 (multiplicity 4)
Eu  0.000  0.000  0.500 (multiplicity 4)
Cl  0.000  0.000  0.263 (multiplicity 24)



Here is CsEuTa6Cl18 after structural relaxation from the Materials Project. Energies are from PBE.

The value obtained for the electronic total energy is -5.93 eV/atom. For the magnetization, the calculation gives 6.994 μB per formula unit.

Cell: 9.4652 9.4652 17.6216 Å, 90.00 90.00 120.00°
Space group P-31c (No. 163)
Inequivalent atoms, fractional coordinates:
Cs  0.3333  0.6667  0.2500 (multiplicity 2)
Eu  0.3333  0.6667  0.7500 (multiplicity 2)
Ta  0.0374  0.1941  0.9325 (multiplicity 12)
Cl  0.0434  0.2285  0.1586 (multiplicity 12)